== Work order ==
It remains to repeat the rows below exactly.

== Excerpt ==
~~~
# Li9Mn2Co5O16 | Materials Project | GGA+U | relaxed
# Polymorph energy (0 for the lowest one) (meV per atom): 55
# E_tot (eV/atom): -5.800
# Total magnetization (μB per cell): 14.00
data_Li9Mn2Co5O16
_space_group_name_H-M_alt 'P 1'
_space_group_IT_number 1
_space_group_name_Hall 'P 1'
_cell_length_a 2.9514
_cell_length_b 5.0885
_cell_length_c 19.9131
_cell_angle_alpha 92.27
_cell_angle_beta 92.62
_cell_angle_gamma 104.26
loop_
_atom_site_label
_atom_site_fract_x
_atom_site_fract_y
_atom_site_fract_z
Li1 0.0000 0.0000 0.0000
Li2 0.0513 0.2928 0.8158
Li3 0.1715 0.9257 0.4381
Li4 0.2655 0.5383 0.0573
Li5 0.4224 0.1746 0.6884
Li6 0.5461 0.7944 0.3136
Li7 0.6777 0.4123 0.9402
Li8 0.7994 0.0438 0.5655
Li9 0.9335 0.6821 0.1878
Mn1 0.4759 0.4831 0.5028
Mn2 0.6086 0.1156 0.1201
Co1 0.1204 0.6128 0.6271
Co2 0.2275 0.2320 0.2498
Co3 0.3629 0.8572 0.8818
Co4 0.7440 0.7353 0.7525
Co5 0.8541 0.3537 0.3759
O1 0.0324 0.1128 0.9036
O2 0.0951 0.4760 0.7162
O3 0.1582 0.7508 0.5367
O4 0.2085 0.0966 0.3449
O5 0.2268 0.3607 0.1539
O6 0.3243 0.7087 0.9591
O7 0.3848 0.9896 0.7872
O8 0.4350 0.3481 0.5939
O9 0.5030 0.6175 0.4096
O10 0.5723 0.9762 0.2166
O11 0.6438 0.2654 0.0380
O12 0.6829 0.5997 0.8429
O13 0.7952 0.2158 0.4696
O14 0.7995 0.8725 0.6595
O15 0.8871 0.4948 0.2820
O16 0.9950 0.8697 0.0979

---

# Li9Mn2Co5O16 | Materials Project | GGA+U | relaxed
# Polymorph energy (0 for the lowest one) (meV per atom): 54
# E_tot (eV/atom): -5.800
# Total magnetization (μB per cell): 16.00
data_Li9Mn2Co5O16
_space_group_name_H-M_alt 'P -1'
_space_group_IT_number 2
_space_group_name_Hall '-P 1'
_cell_length_a 5.1770
_cell_length_b 5.8888
_cell_length_c 10.2769
_cell_angle_alpha 104.20
_cell_angle_beta 95.30
_cell_angle_gamma 109.18
loop_
_atom_site_label
_atom_site_fract_x
_atom_site_fract_y
_atom_site_fract_z
Li1 0.0000 0.0000 0.0000
Li2 0.4943 0.4249 0.1189
Li3 0.4983 0.3161 0.3736
Li4 0.4998 0.0605 0.8805
Li5 0.5005 0.1897 0.6239
Mn1 0.0001 0.1250 0.7546
Co1 0.0000 0.5000 0.0000
Co2 0.0022 0.2480 0.4996
Co3 0.0058 0.3717 0.2473
O1 0.2100 0.9068 0.6874
O2 0.2150 0.6615 0.1896
O3 0.2174 0.7487 0.9278
O4 0.2225 0.5085 0.4314
O5 0.2275 0.3862 0.6789
O6 0.2298 0.0071 0.4328
O7 0.2388 0.2727 0.9250
O8 0.2410 0.1423 0.1932

---

# Li4Mn2Si4O13 | Materials Project | GGA+U | relaxed
# E_tot (eV/atom): -7.079
# Total magnetization (μB per cell): 32.00
data_Li4Mn2Si4O13
_space_group_name_H-M_alt 'P n a 21'
_space_group_IT_number 33
_space_group_name_Hall 'P 2c -2n'
_cell_length_a 14.1707
_cell_length_b 4.9437
_cell_length_c 14.2528
_cell_angle_alpha 90.00
_cell_angle_beta 90.00
_cell_angle_gamma 90.00
loop_
_atom_site_label
_atom_site_fract_x
_atom_site_fract_y
_atom_site_fract_z
Li1 0.0393 0.1820 0.0000
Li2 0.1135 0.6830 0.3048
Li3 0.1278 0.6631 0.1131
Li4 0.2100 0.2499 0.3890
Mn1 0.0770 0.3549 0.5978
Mn2 0.1769 0.1856 0.8039
Si1 0.0176 0.1555 0.2186
Si2 0.0682 0.6948 0.9034
Si3 0.1839 0.8526 0.5016
Si4 0.2241 0.1782 0.1840
O1 0.0215 0.2120 0.3330
O2 0.0234 0.4426 0.1638
O3 0.0433 0.7795 0.0109
O4 0.0658 0.0548 0.6927
O5 0.0831 0.3702 0.8872
O6 0.0894 0.6761 0.5224
O7 0.1224 0.0014 0.1981
O8 0.1622 0.8655 0.8744
O9 0.1698 0.1772 0.5216
O10 0.1902 0.4767 0.7105
O11 0.2084 0.8332 0.3901
O12 0.2130 0.4573 0.2443
O13 0.2262 0.2552 0.0708

---

# LiCo3O6 | Materials Project | GGA+U | relaxed
# Polymorph energy (0 for the lowest one) (meV per atom): 0
# E_tot (eV/atom): -5.763
data_LiCo3O6
_space_group_name_H-M_alt 'C 1 2 1'
_space_group_IT_number 5
_space_group_name_Hall 'C 2y'
_cell_length_a 10.0655
_cell_length_b 8.4396
_cell_length_c 4.8941
_cell_angle_alpha 90.00
_cell_angle_beta 99.16
_cell_angle_gamma 90.00
loop_
_atom_site_label
_atom_site_fract_x
_atom_site_fract_y
_atom_site_fract_z
Li1 0.2499 0.0000 0.2497
Co1 0.0000 0.0004 0.5000
Co2 0.0000 0.1685 0.0000
Co3 0.0000 0.3339 0.5000
Co4 0.0000 0.5016 0.0000
Co5 0.0000 0.6689 0.5000
Co6 0.0000 0.8337 0.0000
O1 0.0974 0.0022 0.8695
O2 0.0973 0.3378 0.8655
O3 0.0977 0.1632 0.3612
O4 0.0977 0.5032 0.3695
~~~

== Result ==
# Li9Mn2Co5O16 | Materials Project | GGA+U | relaxed
# Polymorph energy (0 for the lowest one) (meV per atom): 55
# E_tot (eV/atom): -5.800
# Total magnetization (μB per cell): 14.00
data_Li9Mn2Co5O16
_space_group_name_H-M_alt 'P 1'
_space_group_IT_number 1
_space_group_name_Hall 'P 1'
_cell_length_a 2.9514
_cell_length_b 5.0885
_cell_length_c 19.9131
_cell_angle_alpha 92.27
_cell_angle_beta 92.62
_cell_angle_gamma 104.26
loop_
_atom_site_label
_atom_site_fract_x
_atom_site_fract_y
_atom_site_fract_z
Li1 0.0000 0.0000 0.0000
Li2 0.0513 0.2928 0.8158
Li3 0.1715 0.9257 0.4381
Li4 0.2655 0.5383 0.0573
Li5 0.4224 0.1746 0.6884
Li6 0.5461 0.7944 0.3136
Li7 0.6777 0.4123 0.9402
Li8 0.7994 0.0438 0.5655
Li9 0.9335 0.6821 0.1878
Mn1 0.4759 0.4831 0.5028
Mn2 0.6086 0.1156 0.1201
Co1 0.1204 0.6128 0.6271
Co2 0.2275 0.2320 0.2498
Co3 0.3629 0.8572 0.8818
Co4 0.7440 0.7353 0.7525
Co5 0.8541 0.3537 0.3759
O1 0.0324 0.1128 0.9036
O2 0.0951 0.4760 0.7162
O3 0.1582 0.7508 0.5367
O4 0.2085 0.0966 0.3449
O5 0.2268 0.3607 0.1539
O6 0.3243 0.7087 0.9591
O7 0.3848 0.9896 0.7872
O8 0.4350 0.3481 0.5939
O9 0.5030 0.6175 0.4096
O10 0.5723 0.9762 0.2166
O11 0.6438 0.2654 0.0380
O12 0.6829 0.5997 0.8429
O13 0.7952 0.2158 0.4696
O14 0.7995 0.8725 0.6595
O15 0.8871 0.4948 0.2820
O16 0.9950 0.8697 0.0979

---

# Li9Mn2Co5O16 | Materials Project | GGA+U | relaxed
# Polymorph energy (0 for the lowest one) (meV per atom): 54
# E_tot (eV/atom): -5.800
# Total magnetization (μB per cell): 16.00
data_Li9Mn2Co5O16
_space_group_name_H-M_alt 'P -1'
_space_group_IT_number 2
_space_group_name_Hall '-P 1'
_cell_length_a 5.1770
_cell_length_b 5.8888
_cell_length_c 10.2769
_cell_angle_alpha 104.20
_cell_angle_beta 95.30
_cell_angle_gamma 109.18
loop_
_atom_site_label
_atom_site_fract_x
_atom_site_fract_y
_atom_site_fract_z
Li1 0.0000 0.0000 0.0000
Li2 0.4943 0.4249 0.1189
Li3 0.4983 0.3161 0.3736
Li4 0.4998 0.0605 0.8805
Li5 0.5005 0.1897 0.6239
Mn1 0.0001 0.1250 0.7546
Co1 0.0000 0.5000 0.0000
Co2 0.0022 0.2480 0.4996
Co3 0.0058 0.3717 0.2473
O1 0.2100 0.9068 0.6874
O2 0.2150 0.6615 0.1896
O3 0.2174 0.7487 0.9278
O4 0.2225 0.5085 0.4314
O5 0.2275 0.3862 0.6789
O6 0.2298 0.0071 0.4328
O7 0.2388 0.2727 0.9250
O8 0.2410 0.1423 0.1932

---

# Li4Mn2Si4O13 | Materials Project | GGA+U | relaxed
# E_tot (eV/atom): -7.079
# Total magnetization (μB per cell): 32.00
data_Li4Mn2Si4O13
_space_group_name_H-M_alt 'P n a 21'
_space_group_IT_number 33
_space_group_name_Hall 'P 2c -2n'
_cell_length_a 14.1707
_cell_length_b 4.9437
_cell_length_c 14.2528
_cell_angle_alpha 90.00
_cell_angle_beta 90.00
_cell_angle_gamma 90.00
loop_
_atom_site_label
_atom_site_fract_x
_atom_site_fract_y
_atom_site_fract_z
Li1 0.0393 0.1820 0.0000
Li2 0.1135 0.6830 0.3048
Li3 0.1278 0.6631 0.1131
Li4 0.2100 0.2499 0.3890
Mn1 0.0770 0.3549 0.5978
Mn2 0.1769 0.1856 0.8039
Si1 0.0176 0.1555 0.2186
Si2 0.0682 0.6948 0.9034
Si3 0.1839 0.8526 0.5016
Si4 0.2241 0.1782 0.1840
O1 0.0215 0.2120 0.3330
O2 0.0234 0.4426 0.1638
O3 0.0433 0.7795 0.0109
O4 0.0658 0.0548 0.6927
O5 0.0831 0.3702 0.8872
O6 0.0894 0.6761 0.5224
O7 0.1224 0.0014 0.1981
O8 0.1622 0.8655 0.8744
O9 0.1698 0.1772 0.5216
O10 0.1902 0.4767 0.7105
O11 0.2084 0.8332 0.3901
O12 0.2130 0.4573 0.2443
O13 0.2262 0.2552 0.0708

---

# LiCo3O6 | Materials Project | GGA+U | relaxed
# Polymorph energy (0 for the lowest one) (meV per atom): 0
# E_tot (eV/atom): -5.763
data_LiCo3O6
_space_group_name_H-M_alt 'C 1 2 1'
_space_group_IT_number 5
_space_group_name_Hall 'C 2y'
_cell_length_a 10.0655
_cell_length_b 8.4396
_cell_length_c 4.8941
_cell_angle_alpha 90.00
_cell_angle_beta 99.16
_cell_angle_gamma 90.00
loop_
_atom_site_label
_atom_site_fract_x
_atom_site_fract_y
_atom_site_fract_z
Li1 0.2499 0.0000 0.2497
Co1 0.0000 0.0004 0.5000
Co2 0.0000 0.1685 0.0000
Co3 0.0000 0.3339 0.5000
Co4 0.0000 0.5016 0.0000
Co5 0.0000 0.6689 0.5000
Co6 0.0000 0.8337 0.0000
O1 0.0974 0.0022 0.8695
O2 0.0973 0.3378 0.8655
O3 0.0977 0.1632 0.3612
O4 0.0977 0.5032 0.3695